Assignment.
Now repeat the block underneath from the line with "ThAs after" to the end exactly.

Input.
Entry 1:
DFT (PBE) results for ThAs after structural relaxation.

Calculated values
space-group type	Pm-3m, No. 221
VASP energy	-14.300	eV/f.u.
total magnetic moment	0.011	μB/atom
energy of formation	-1.1133	eV per atom

a b c (Å): 3.6524 3.6524 3.6524
angles (deg): 90.00 90.00 90.00
Sites, in units of the cell vectors:
Th  0.0000  0.0000  0.0000
As  0.5000  0.5000  0.5000

=====

Entry 2:
DFT (PBE) results for Th3As4 after structural relaxation.

Calculated values
space-group type	I-43d, No. 220
VASP energy	-50.255	eV/f.u.
energy of formation	-1.3396	eV per atom

a b c (Å): 7.7084 7.7084 7.7084
angles (deg): 109.47 109.47 109.47
Sites, in units of the cell vectors:
Th  0.1250  0.7500  0.8750
Th  0.2500  0.6250  0.3750
Th  0.3750  0.2500  0.6250
Th  0.6250  0.3750  0.2500
Th  0.7500  0.8750  0.1250
Th  0.8750  0.1250  0.7500
As  0.0000  0.3420  0.5000
As  0.0000  0.8420  0.5000
As  0.1580  0.1580  0.1580
As  0.3420  0.5000  0.0000
As  0.5000  0.0000  0.3420
As  0.5000  0.0000  0.8420
As  0.6580  0.6580  0.6580
As  0.8420  0.5000  0.0000

=====

In the order shown, the computed mass density values come out to 10.462, 9.380 g/cm³.

=====

{"formula": "Li7Nb8O24", "functional": "PBE-GGA", "state": "optimized geometry", "cell": [[7.652, 0.000, 0.000], [-3.240, 8.703, 0.000], [-3.634, -1.355, 13.391]], "species": ["Li", "Li", "Li", "Li", "Li", "Li", "Li", "Li", "Li", "Li", "Li", "Li", "Li", "Li", "Nb", "Nb", "Nb", "Nb", "Nb", "Nb", "Nb", "Nb", "Nb", "Nb", "Nb", "Nb", "Nb", "Nb", "Nb", "Nb", "O", "O", "O", "O", "O", "O", "O", "O", "O", "O", "O", "O", "O", "O", "O", "O", "O", "O", "O", "O", "O", "O", "O", "O", "O", "O", "O", "O", "O", "O", "O", "O", "O", "O", "O", "O", "O", "O", "O", "O", "O", "O", "O", "O", "O", "O", "O", "O"], "frac_coords": [[0.000, 0.250, 0.249], [0.000, 0.750, 0.751], [0.124, 0.125, 0.625], [0.125, 0.625, 0.125], [0.249, 0.999, 0.999], [0.250, 0.500, 0.499], [0.374, 0.874, 0.376], [0.375, 0.373, 0.875], [0.625, 0.627, 0.125], [0.626, 0.126, 0.624], [0.750, 0.500, 0.501], [0.751, 0.001, 0.001], [0.875, 0.375, 0.875], [0.876, 0.875, 0.375], [0.058, 0.434, 0.687], [0.059, 0.937, 0.185], [0.185, 0.811, 0.565], [0.190, 0.312, 0.065], [0.310, 0.188, 0.435], [0.312, 0.684, 0.936], [0.444, 0.060, 0.812], [0.446, 0.563, 0.313], [0.554, 0.437, 0.687], [0.556, 0.940, 0.188], [0.688, 0.316, 0.064], [0.690, 0.812, 0.565], [0.810, 0.688, 0.935], [0.815, 0.189, 0.435], [0.941, 0.063, 0.815], [0.942, 0.566, 0.313], [0.016, 0.233, 0.921], [0.030, 0.221, 0.720], [0.048, 0.703, 0.894], [0.078, 0.173, 0.484], [0.092, 0.655, 0.654], [0.104, 0.641, 0.452], [0.139, 0.105, 0.298], [0.151, 0.093, 0.093], [0.172, 0.579, 0.270], [0.201, 0.051, 0.856], [0.218, 0.529, 0.029], [0.231, 0.515, 0.828], [0.267, 0.982, 0.672], [0.274, 0.969, 0.469], [0.296, 0.450, 0.641], [0.327, 0.918, 0.233], [0.345, 0.404, 0.405], [0.348, 0.399, 0.200], [0.391, 0.854, 0.050], [0.400, 0.852, 0.851], [0.422, 0.327, 0.018], [0.450, 0.802, 0.598], [0.468, 0.281, 0.779], [0.481, 0.267, 0.578], [0.519, 0.733, 0.422], [0.532, 0.719, 0.221], [0.550, 0.198, 0.402], [0.578, 0.673, 0.982], [0.600, 0.148, 0.149], [0.609, 0.146, 0.950], [0.652, 0.601, 0.800], [0.655, 0.596, 0.595], [0.673, 0.082, 0.767], [0.704, 0.550, 0.359], [0.726, 0.031, 0.531], [0.733, 0.018, 0.328], [0.769, 0.485, 0.172], [0.782, 0.471, 0.971], [0.799, 0.949, 0.144], [0.828, 0.421, 0.730], [0.849, 0.907, 0.907], [0.861, 0.895, 0.702], [0.896, 0.359, 0.548], [0.908, 0.345, 0.346], [0.922, 0.827, 0.516], [0.952, 0.297, 0.106], [0.970, 0.779, 0.280], [0.984, 0.767, 0.079]], "magnetic_moment_mub_per_fu": 1.00, "energy_mp2020_ev_per_atom": -8.28, "total_energy_ev_per_atom": -7.86, "delta_e_f_ev_per_atom": -2.82}

Written answer.
DFT (PBE) results for ThAs after structural relaxation.

Calculated values
space-group type	Pm-3m, No. 221
VASP energy	-14.300	eV/f.u.
total magnetic moment	0.011	μB/atom
energy of formation	-1.1133	eV per atom

a b c (Å): 3.6524 3.6524 3.6524
angles (deg): 90.00 90.00 90.00
Sites, in units of the cell vectors:
Th  0.0000  0.0000  0.0000
As  0.5000  0.5000  0.5000

=====

Entry 2:
DFT (PBE) results for Th3As4 after structural relaxation.

Calculated values
space-group type	I-43d, No. 220
VASP energy	-50.255	eV/f.u.
energy of formation	-1.3396	eV per atom

a b c (Å): 7.7084 7.7084 7.7084
angles (deg): 109.47 109.47 109.47
Sites, in units of the cell vectors:
Th  0.1250  0.7500  0.8750
Th  0.2500  0.6250  0.3750
Th  0.3750  0.2500  0.6250
Th  0.6250  0.3750  0.2500
Th  0.7500  0.8750  0.1250
Th  0.8750  0.1250  0.7500
As  0.0000  0.3420  0.5000
As  0.0000  0.8420  0.5000
As  0.1580  0.1580  0.1580
As  0.3420  0.5000  0.0000
As  0.5000  0.0000  0.3420
As  0.5000  0.0000  0.8420
As  0.6580  0.6580  0.6580
As  0.8420  0.5000  0.0000

=====

In the order shown, the computed mass density values come out to 10.462, 9.380 g/cm³.

=====

{"formula": "Li7Nb8O24", "functional": "PBE-GGA", "state": "optimized geometry", "cell": [[7.652, 0.000, 0.000], [-3.240, 8.703, 0.000], [-3.634, -1.355, 13.391]], "species": ["Li", "Li", "Li", "Li", "Li", "Li", "Li", "Li", "Li", "Li", "Li", "Li", "Li", "Li", "Nb", "Nb", "Nb", "Nb", "Nb", "Nb", "Nb", "Nb", "Nb", "Nb", "Nb", "Nb", "Nb", "Nb", "Nb", "Nb", "O", "O", "O", "O", "O", "O", "O", "O", "O", "O", "O", "O", "O", "O", "O", "O", "O", "O", "O", "O", "O", "O", "O", "O", "O", "O", "O", "O", "O", "O", "O", "O", "O", "O", "O", "O", "O", "O", "O", "O", "O", "O", "O", "O", "O", "O", "O", "O"], "frac_coords": [[0.000, 0.250, 0.249], [0.000, 0.750, 0.751], [0.124, 0.125, 0.625], [0.125, 0.625, 0.125], [0.249, 0.999, 0.999], [0.250, 0.500, 0.499], [0.374, 0.874, 0.376], [0.375, 0.373, 0.875], [0.625, 0.627, 0.125], [0.626, 0.126, 0.624], [0.750, 0.500, 0.501], [0.751, 0.001, 0.001], [0.875, 0.375, 0.875], [0.876, 0.875, 0.375], [0.058, 0.434, 0.687], [0.059, 0.937, 0.185], [0.185, 0.811, 0.565], [0.190, 0.312, 0.065], [0.310, 0.188, 0.435], [0.312, 0.684, 0.936], [0.444, 0.060, 0.812], [0.446, 0.563, 0.313], [0.554, 0.437, 0.687], [0.556, 0.940, 0.188], [0.688, 0.316, 0.064], [0.690, 0.812, 0.565], [0.810, 0.688, 0.935], [0.815, 0.189, 0.435], [0.941, 0.063, 0.815], [0.942, 0.566, 0.313], [0.016, 0.233, 0.921], [0.030, 0.221, 0.720], [0.048, 0.703, 0.894], [0.078, 0.173, 0.484], [0.092, 0.655, 0.654], [0.104, 0.641, 0.452], [0.139, 0.105, 0.298], [0.151, 0.093, 0.093], [0.172, 0.579, 0.270], [0.201, 0.051, 0.856], [0.218, 0.529, 0.029], [0.231, 0.515, 0.828], [0.267, 0.982, 0.672], [0.274, 0.969, 0.469], [0.296, 0.450, 0.641], [0.327, 0.918, 0.233], [0.345, 0.404, 0.405], [0.348, 0.399, 0.200], [0.391, 0.854, 0.050], [0.400, 0.852, 0.851], [0.422, 0.327, 0.018], [0.450, 0.802, 0.598], [0.468, 0.281, 0.779], [0.481, 0.267, 0.578], [0.519, 0.733, 0.422], [0.532, 0.719, 0.221], [0.550, 0.198, 0.402], [0.578, 0.673, 0.982], [0.600, 0.148, 0.149], [0.609, 0.146, 0.950], [0.652, 0.601, 0.800], [0.655, 0.596, 0.595], [0.673, 0.082, 0.767], [0.704, 0.550, 0.359], [0.726, 0.031, 0.531], [0.733, 0.018, 0.328], [0.769, 0.485, 0.172], [0.782, 0.471, 0.971], [0.799, 0.949, 0.144], [0.828, 0.421, 0.730], [0.849, 0.907, 0.907], [0.861, 0.895, 0.702], [0.896, 0.359, 0.548], [0.908, 0.345, 0.346], [0.922, 0.827, 0.516], [0.952, 0.297, 0.106], [0.970, 0.779, 0.280], [0.984, 0.767, 0.079]], "magnetic_moment_mub_per_fu": 1.00, "energy_mp2020_ev_per_atom": -8.28, "total_energy_ev_per_atom": -7.86, "delta_e_f_ev_per_atom": -2.82}